Data:
'''
! Ca2SnPd3 PBE-GGA relaxed; values from VASP
&SYSTEM
  ibrav = 0, nat = 6, ntyp = 3
/
ATOMIC_SPECIES
Ca 40.08 Ca.upf
Pd 106.42 Pd.upf
Sn 118.71 Sn.upf
ATOMIC_POSITIONS angstrom
Ca -2.5220 1.6425 -0.1657
Ca -3.7891 -1.9963 0.5676
Pd 0.0000 0.0000 0.0000
Pd -2.9634 0.0185 2.3746
Pd -3.3476 -0.3724 -1.9727
Sn -1.2123 -2.0125 -1.4972
CELL_PARAMETERS angstrom
-2.1215 3.2667 -2.6731
-2.4246 -4.0249 -2.9944
-1.7649 0.4044 6.0694
! * ΔH_f (0 K): -0.5115 eV/atom

! TlHSe2 PBE-GGA relaxed; values from VASP
&SYSTEM
  ibrav = 0, nat = 4, ntyp = 3
/
ATOMIC_SPECIES
H 1.01 H.upf
Tl 204.38 Tl.upf
Se 78.96 Se.upf
ATOMIC_POSITIONS angstrom
H 0.0000 0.0000 0.0000
Tl 0.0000 0.0000 9.7879
Se 0.0000 0.0000 1.7643
Se 0.0000 0.0000 17.8114
CELL_PARAMETERS angstrom
2.4666 0.0000 6.5252
-1.2333 2.1361 6.5252
-1.2333 -2.1361 6.5252
! * E_tot: -12.615 eV per cell

! BaHgNF2 PBE-GGA relaxed; values from VASP
&SYSTEM
  ibrav = 0, nat = 5, ntyp = 4
/
ATOMIC_SPECIES
F 19.00 F.upf
Ba 137.33 Ba.upf
Hg 200.59 Hg.upf
N 14.01 N.upf
ATOMIC_POSITIONS angstrom
F 0.0000 2.4455 0.0000
F 2.4455 0.0000 0.0000
Ba 2.4455 2.4455 2.0399
Hg 0.0000 0.0000 0.0000
N 0.0000 0.0000 2.0399
CELL_PARAMETERS angstrom
4.8910 0.0000 0.0000
0.0000 4.8910 0.0000
0.0000 0.0000 4.0797
! * formation energy from raw total energies: -1192 meV per atom

! Hg2BiCl PBE-GGA relaxed; values from VASP
&SYSTEM
  ibrav = 0, nat = 8, ntyp = 3
/
ATOMIC_SPECIES
Cl 35.45 Cl.upf
Hg 200.59 Hg.upf
Bi 208.98 Bi.upf
ATOMIC_POSITIONS angstrom
Cl -1.9011 -5.7563 5.3777
Cl -2.5386 -1.2730 3.5956
Hg -2.3248 -6.3839 10.7934
Hg 0.3548 -4.9489 7.1579
Hg -0.3683 -0.5085 5.4970
Hg -1.9808 -4.1178 2.8838
Bi 0.0000 0.0000 0.0000
Bi -0.2584 -2.2232 7.7884
CELL_PARAMETERS angstrom
-0.8959 2.2601 6.0063
-4.1814 -4.8061 1.1848
2.9177 -5.4335 5.9749
! * formation energy from raw total energies: -138 meV per atom

! LuCo4Ge PBE-GGA relaxed; values from VASP
&SYSTEM
  ibrav = 0, nat = 6, ntyp = 3
/
ATOMIC_SPECIES
Lu 174.97 Lu.upf
Co 58.93 Co.upf
Ge 72.64 Ge.upf
ATOMIC_POSITIONS angstrom
Lu 0.0000 0.0000 0.0000
Co -2.6666 -2.6346 4.2095
Co -3.7125 -3.5948 2.2508
Co -1.5997 -4.4663 3.0438
Co -3.6216 -4.8548 4.3140
Ge -1.4500 -1.9438 1.7273
CELL_PARAMETERS angstrom
-4.0636 -0.7808 2.5527
-1.9194 -4.4621 0.2099
0.1827 -2.5323 4.1464
! * ΔH_f (0 K): -0.1460 eV/atom

! PaNi2AsN PBE-GGA relaxed; values from VASP
&SYSTEM
  ibrav = 0, nat = 10, ntyp = 4
/
ATOMIC_SPECIES
N 14.01 N.upf
Ni 58.69 Ni.upf
As 74.92 As.upf
Pa 231.04 Pa.upf
ATOMIC_POSITIONS angstrom
N 0.0000 0.0000 3.4109
N 0.0000 0.0000 0.0000
Ni 1.7567 3.7852 0.3946
Ni 1.7567 3.7852 3.0162
Ni 0.0000 1.9160 6.4271
Ni 0.0000 1.9160 3.8055
As 1.7567 2.7630 5.1163
As 0.0000 2.9383 1.7054
Pa 0.0000 5.3813 5.1163
Pa 1.7567 0.3200 1.7054
CELL_PARAMETERS angstrom
3.5135 0.0000 0.0000
-1.7567 5.7012 0.0000
0.0000 0.0000 6.8218
! * formation energy from raw total energies: -852 meV per atom

! TlPdICl6 PBE-GGA relaxed; values from VASP
&SYSTEM
  ibrav = 0, nat = 9, ntyp = 4
/
ATOMIC_SPECIES
Pd 106.42 Pd.upf
Cl 35.45 Cl.upf
I 126.90 I.upf
Tl 204.38 Tl.upf
ATOMIC_POSITIONS angstrom
Pd 5.9879 1.6704 2.7186
Cl 12.8089 1.8446 1.5416
Cl 10.1515 1.5497 4.1010
Cl 4.6581 3.2356 3.7696
Cl 4.8166 -0.0481 3.8096
Cl 7.2398 0.0764 1.5377
Cl 7.1823 3.3382 1.6853
I 11.3326 3.3034 2.8696
Tl 15.9961 4.3794 1.3742
CELL_PARAMETERS angstrom
11.3068 -0.4324 0.2863
5.2015 5.3506 0.1922
0.7091 0.0273 5.3018
! * formation energy from raw total energies: -462 meV per atom

! SmGd2Tc PBE-GGA relaxed; values from VASP
&SYSTEM
  ibrav = 0, nat = 4, ntyp = 3
/
ATOMIC_SPECIES
Sm 150.36 Sm.upf
Gd 157.25 Gd.upf
Tc 98.00 Tc.upf
ATOMIC_POSITIONS angstrom
Sm 4.8435 2.7964 2.5547
Gd 7.2653 4.1946 4.1583
Gd 2.4218 1.3982 0.9511
Tc 0.0000 0.0000 0.0000
CELL_PARAMETERS angstrom
4.8435 0.0000 0.0000
2.4218 4.1946 0.0000
2.4218 1.3982 5.1094
! * ΔH_f (0 K): 0.2098 eV/atom

! BaPPdO6 PBE-GGA relaxed; values from VASP
&SYSTEM
  ibrav = 0, nat = 9, ntyp = 4
/
ATOMIC_SPECIES
P 30.97 P.upf
O 16.00 O.upf
Pd 106.42 Pd.upf
'''
Work order:
Transcribe only the lines further up with the word "PBE-GGA" in them, please.
Written answer:
! Ca2SnPd3 PBE-GGA relaxed; values from VASP
! TlHSe2 PBE-GGA relaxed; values from VASP
! BaHgNF2 PBE-GGA relaxed; values from VASP
! Hg2BiCl PBE-GGA relaxed; values from VASP
! LuCo4Ge PBE-GGA relaxed; values from VASP
! PaNi2AsN PBE-GGA relaxed; values from VASP
! TlPdICl6 PBE-GGA relaxed; values from VASP
! SmGd2Tc PBE-GGA relaxed; values from VASP
! BaPPdO6 PBE-GGA relaxed; values from VASP